Exercise:
It remains to restate only the lines further below with the word "Atoms" in them.

Entries:
- - -
An isolated molecule of C24H32N4O3S, computed with the ωB97M-V functional and the def2-TZVPD basis.

Atoms and positions in Å:
C: 2.0936 7.1717 -4.3612
C: 1.6714 5.8189 -3.7968
C: 0.1472 5.6934 -3.7445
C: -0.2554 4.3212 -3.2103
N: 0.3268 3.2938 -4.0394
S: -0.3632 1.7850 -3.9224
O: -1.7826 1.9570 -3.9966
O: 0.2908 0.9434 -4.8802
C: 0.0722 1.2269 -2.2762
C: -0.7493 1.5284 -1.2074
C: -0.3781 1.1681 0.0755
C: 0.8311 0.5050 0.2824
N: 1.2693 0.1096 1.5470
C: 0.6456 0.2430 2.7582
O: -0.4154 0.8025 2.9210
C: 1.4174 -0.4200 3.9047
N: 1.0380 -1.7790 4.2231
C: 1.2304 -2.7792 3.1924
C: 0.0272 -2.9433 2.2417
N: -1.1676 -3.2303 3.0068
C: -1.4967 -4.5449 3.3091
C: -1.9945 -4.9352 4.5566
C: -2.3730 -6.2430 4.7953
C: -2.2643 -7.2056 3.8085
C: -1.7837 -6.8327 2.5642
C: -1.4121 -5.5284 2.3147
C: -1.4129 -2.1607 3.9527
C: -0.2264 -1.9725 4.9117
C: 1.6503 0.2021 -0.8081
C: 1.2710 0.5656 -2.0849
C: 1.7681 3.3279 -4.0812
C: 2.2285 4.6710 -4.6416
H: 1.6998 7.9803 -3.7501
H: 1.7185 7.2935 -5.3746
H: 3.1777 7.2546 -4.3845
H: 2.0644 5.7244 -2.7772
H: -0.2584 5.8129 -4.7498
H: -0.2769 6.4692 -3.1051
H: -1.3363 4.1844 -3.2514
H: 0.0803 4.2160 -2.1643
H: -1.6860 2.0281 -1.3953
H: -1.0134 1.3943 0.9153
H: 2.1580 -0.3728 1.5459
H: 2.4908 -0.4184 3.6839
H: 1.2488 0.1821 4.8013
H: 2.1391 -2.5509 2.6307
H: 1.3805 -3.7375 3.7054
H: 0.2387 -3.7460 1.5379
H: -0.1493 -2.0243 1.6729
- - -

Done:
Atoms and positions in Å: